## Excerpt
********
Record 1
{"formula": "C3H6N", "method": "ωB97M-V/def2-TZVPD", "species": ["C", "C", "C", "N", "H", "H", "H", "H", "H", "H"], "coordinates": [[0.11034, -0.44860, -1.48839], [0.43153, -0.35734, -2.69872], [-0.21358, -0.70826, 0.80157], [0.09075, 0.65641, 1.25813], [0.42019, -1.46279, 1.00289], [-1.34282, -0.81315, 0.68181], [0.15352, 0.04796, -3.58492], [1.08167, 0.94597, 1.68279], [-0.63337, 0.95857, 1.94929], [-0.09823, 1.18122, 0.39555]], "e_tot_ev": -4682.703, "e_above_lowest_kcal_mol": 58.1, "max_force_ev_per_a": 4.4, "s_squared": 2.008, "homo_ev": [-12.43, -15.46], "spin_multiplicity": 3, "total_charge": 1}

=====

Record 2
{"formula": "C3H6N2", "method": "ωB97M-V/def2-TZVPD", "species": ["C", "C", "C", "N", "N", "H", "H", "H", "H", "H", "H"], "coordinates": [[-1.64248, -0.50939, -0.10798], [-0.84145, 0.53158, -0.26196], [2.28617, 1.02286, -0.02774], [2.10954, -1.32824, -0.12223], [2.25280, -0.13811, 0.03885], [-1.65515, -1.23936, -0.80260], [-2.18714, -0.71954, 0.74001], [-0.80015, 1.17294, 0.59893], [-0.26691, 0.59806, -1.06613], [2.89825, 1.81411, -0.35542], [2.43784, -1.88625, 0.65489]], "e_tot_ev": -6183.808, "e_above_lowest_kcal_mol": 109.2, "max_force_ev_per_a": 5.0, "homo_ev": -8.88, "spin_multiplicity": 1}

=====

Record 3
{"formula": "C3H6N2", "method": "ωB97M-V/def2-TZVPD", "species": ["C", "C", "C", "N", "N", "H", "H", "H", "H", "H", "H"], "coordinates": [[1.02206, 0.14101, -0.90148], [0.32058, 1.24407, -0.07899], [0.18615, -0.35150, 0.30320], [-1.59575, -1.56948, 1.07292], [-1.06854, -0.79806, 0.11978], [0.71501, 0.21290, -1.94834], [2.10698, -0.08202, -0.83214], [0.75659, 1.74693, 0.80953], [-0.57090, 1.70322, -0.63855], [0.72201, -0.47359, 1.16273], [-2.59419, -1.77349, 0.93134]], "e_tot_ev": -6185.008, "e_above_lowest_kcal_mol": 81.6, "max_force_ev_per_a": 6.9, "smiles": "[H]/N=N/C1CC1", "homo_ev": -9.10, "spin_multiplicity": 1}

=====

Record 4
{"formula": "C3H6N2O", "method": "ωB97M-V/def2-TZVPD", "species": ["C", "N", "C", "N", "C", "O", "H", "H", "H", "H", "H", "H"], "coordinates": [[1.53956, 0.13137, -0.17089], [0.67783, -0.87320, 0.07752], [-1.29568, -0.33601, 0.18996], [-1.93835, -1.23069, 0.74449], [-1.20471, 0.87987, -0.45685], [-0.34891, 1.76850, -0.06713], [1.92574, 0.19050, -1.19246], [2.22717, 0.45181, 0.61664], [0.71452, 1.24694, -0.14124], [0.66303, -1.00311, 1.09289], [-1.41850, -2.11025, 0.80767], [-1.54172, 0.88428, -1.50059]], "e_tot_ev": -8231.577, "e_above_lowest_kcal_mol": 118.1, "max_force_ev_per_a": 0.6, "homo_ev": [-8.68, -8.68], "spin_multiplicity": 1}

=====

Record 5
{"formula": "C3H6N2O", "method": "ωB97M-V/def2-TZVPD", "species": ["C", "N", "C", "N", "C", "O", "H", "H", "H", "H", "H", "H"], "coordinates": [[-0.46369, 1.00479, 1.21219], [-0.65155, 0.51599, -0.01601], [0.12106, 0.08365, -1.00024], [1.51634, 0.07045, -0.91699], [-0.89971, -0.86937, -0.51767], [-0.65425, -1.86069, 0.38027], [0.47002, 1.51926, 1.42048], [-1.34059, 1.21867, 1.80958], [-0.12829, -1.43621, 1.08498], [1.96282, -0.15252, -1.79930], [1.87846, 0.95423, -0.57369], [-1.81062, -1.04826, -1.08360]], "e_tot_ev": -8231.994, "e_above_lowest_kcal_mol": 108.5, "max_force_ev_per_a": 0.5, "homo_ev": [-7.11, -7.12], "spin_multiplicity": 1}

=====

Record 6
{"formula": "C3H6N2O", "method": "ωB97M-V/def2-TZVPD", "species": ["O", "N", "C", "C", "N", "C", "H", "H", "H", "H", "H", "H"], "coordinates": [[2.13804, -0.68635, 1.06275], [1.56079, 0.49654, 0.60055], [0.45941, 0.24652, 0.03546], [-0.64816, 1.13845, -0.46174], [-1.56963, 0.02110, -0.13491], [-0.44789, -0.94757, -0.09079], [2.89366, -0.37029, 1.57340], [-0.56662, 1.34962, -1.53866], [-0.81876, 2.07258, 0.08184], [-2.26678, -0.17380, -0.84403], [-0.28262, -1.49610, -1.03089], [-0.45144, -1.65069, 0.74702]], "e_tot_ev": -8233.111, "e_above_lowest_kcal_mol": 82.7, "max_force_ev_per_a": 0.7, "smiles": "ON=C1CNC1", "homo_ev": -9.23, "spin_multiplicity": 1}

* * * * *

Formula: C2H6FOP
Source: OMol25
Level of theory: the ωB97M-V functional and the def2-TZVPD basis
********
## Activity
Retype the whole of the lines earlier on character by character.
## Reply
Record 1
{"formula": "C3H6N", "method": "ωB97M-V/def2-TZVPD", "species": ["C", "C", "C", "N", "H", "H", "H", "H", "H", "H"], "coordinates": [[0.11034, -0.44860, -1.48839], [0.43153, -0.35734, -2.69872], [-0.21358, -0.70826, 0.80157], [0.09075, 0.65641, 1.25813], [0.42019, -1.46279, 1.00289], [-1.34282, -0.81315, 0.68181], [0.15352, 0.04796, -3.58492], [1.08167, 0.94597, 1.68279], [-0.63337, 0.95857, 1.94929], [-0.09823, 1.18122, 0.39555]], "e_tot_ev": -4682.703, "e_above_lowest_kcal_mol": 58.1, "max_force_ev_per_a": 4.4, "s_squared": 2.008, "homo_ev": [-12.43, -15.46], "spin_multiplicity": 3, "total_charge": 1}

=====

Record 2
{"formula": "C3H6N2", "method": "ωB97M-V/def2-TZVPD", "species": ["C", "C", "C", "N", "N", "H", "H", "H", "H", "H", "H"], "coordinates": [[-1.64248, -0.50939, -0.10798], [-0.84145, 0.53158, -0.26196], [2.28617, 1.02286, -0.02774], [2.10954, -1.32824, -0.12223], [2.25280, -0.13811, 0.03885], [-1.65515, -1.23936, -0.80260], [-2.18714, -0.71954, 0.74001], [-0.80015, 1.17294, 0.59893], [-0.26691, 0.59806, -1.06613], [2.89825, 1.81411, -0.35542], [2.43784, -1.88625, 0.65489]], "e_tot_ev": -6183.808, "e_above_lowest_kcal_mol": 109.2, "max_force_ev_per_a": 5.0, "homo_ev": -8.88, "spin_multiplicity": 1}

=====

Record 3
{"formula": "C3H6N2", "method": "ωB97M-V/def2-TZVPD", "species": ["C", "C", "C", "N", "N", "H", "H", "H", "H", "H", "H"], "coordinates": [[1.02206, 0.14101, -0.90148], [0.32058, 1.24407, -0.07899], [0.18615, -0.35150, 0.30320], [-1.59575, -1.56948, 1.07292], [-1.06854, -0.79806, 0.11978], [0.71501, 0.21290, -1.94834], [2.10698, -0.08202, -0.83214], [0.75659, 1.74693, 0.80953], [-0.57090, 1.70322, -0.63855], [0.72201, -0.47359, 1.16273], [-2.59419, -1.77349, 0.93134]], "e_tot_ev": -6185.008, "e_above_lowest_kcal_mol": 81.6, "max_force_ev_per_a": 6.9, "smiles": "[H]/N=N/C1CC1", "homo_ev": -9.10, "spin_multiplicity": 1}

=====

Record 4
{"formula": "C3H6N2O", "method": "ωB97M-V/def2-TZVPD", "species": ["C", "N", "C", "N", "C", "O", "H", "H", "H", "H", "H", "H"], "coordinates": [[1.53956, 0.13137, -0.17089], [0.67783, -0.87320, 0.07752], [-1.29568, -0.33601, 0.18996], [-1.93835, -1.23069, 0.74449], [-1.20471, 0.87987, -0.45685], [-0.34891, 1.76850, -0.06713], [1.92574, 0.19050, -1.19246], [2.22717, 0.45181, 0.61664], [0.71452, 1.24694, -0.14124], [0.66303, -1.00311, 1.09289], [-1.41850, -2.11025, 0.80767], [-1.54172, 0.88428, -1.50059]], "e_tot_ev": -8231.577, "e_above_lowest_kcal_mol": 118.1, "max_force_ev_per_a": 0.6, "homo_ev": [-8.68, -8.68], "spin_multiplicity": 1}

=====

Record 5
{"formula": "C3H6N2O", "method": "ωB97M-V/def2-TZVPD", "species": ["C", "N", "C", "N", "C", "O", "H", "H", "H", "H", "H", "H"], "coordinates": [[-0.46369, 1.00479, 1.21219], [-0.65155, 0.51599, -0.01601], [0.12106, 0.08365, -1.00024], [1.51634, 0.07045, -0.91699], [-0.89971, -0.86937, -0.51767], [-0.65425, -1.86069, 0.38027], [0.47002, 1.51926, 1.42048], [-1.34059, 1.21867, 1.80958], [-0.12829, -1.43621, 1.08498], [1.96282, -0.15252, -1.79930], [1.87846, 0.95423, -0.57369], [-1.81062, -1.04826, -1.08360]], "e_tot_ev": -8231.994, "e_above_lowest_kcal_mol": 108.5, "max_force_ev_per_a": 0.5, "homo_ev": [-7.11, -7.12], "spin_multiplicity": 1}

=====

Record 6
{"formula": "C3H6N2O", "method": "ωB97M-V/def2-TZVPD", "species": ["O", "N", "C", "C", "N", "C", "H", "H", "H", "H", "H", "H"], "coordinates": [[2.13804, -0.68635, 1.06275], [1.56079, 0.49654, 0.60055], [0.45941, 0.24652, 0.03546], [-0.64816, 1.13845, -0.46174], [-1.56963, 0.02110, -0.13491], [-0.44789, -0.94757, -0.09079], [2.89366, -0.37029, 1.57340], [-0.56662, 1.34962, -1.53866], [-0.81876, 2.07258, 0.08184], [-2.26678, -0.17380, -0.84403], [-0.28262, -1.49610, -1.03089], [-0.45144, -1.65069, 0.74702]], "e_tot_ev": -8233.111, "e_above_lowest_kcal_mol": 82.7, "max_force_ev_per_a": 0.7, "smiles": "ON=C1CNC1", "homo_ev": -9.23, "spin_multiplicity": 1}

* * * * *

Formula: C2H6FOP
Source: OMol25
Level of theory: the ωB97M-V functional and the def2-TZVPD basis